Next, say how many lines of the notes further down hold the word "relaxed", as a bare number.

A relaxed Li6Mn3VP6O24 crystal. Source: Materials Project, functional GGA+U.

Lattice parameters (Å, degrees): 8.6016 8.6650 12.4843 90.00 92.19 90.00
Closest atoms and distances in Å follow each position.
Space group P2_1 (No. 4)
Symmetry-distinct sites (fractional):
Li: 0.0388 0.0000 0.0763  4 O 1.97-2.03
Li: 0.1648 0.0886 0.4894  4 O 1.98-2.19
Li: 0.1700 0.6989 0.5522  4 O 2.00-2.11
Li: 0.3308 0.4769 0.0094  4 O 1.97-2.11
Li: 0.3319 0.8649 0.9467  4 O 1.99-2.10
Li: 0.4579 0.5651 0.4242  4 O 2.00-2.05
Mn: 0.0017 0.2449 0.6527  5 O 1.92-2.06
Mn: 0.0015 0.3242 0.1407  4 O 1.89-2.05
Mn: 0.4998 0.3196 0.8511  5 O 1.93-2.05
V: 0.4963 0.2404 0.3605  6 O 1.92-2.12
P: 0.1441 0.3986 0.3882  4 O 1.54-1.58
P: 0.1497 0.6850 0.0927  4 O 1.51-1.58
P: 0.2128 0.5288 0.7537  4 O 1.53-1.57
P: 0.2891 0.0309 0.7445  4 O 1.53-1.56
P: 0.3482 0.8832 0.4022  4 O 1.50-1.57
P: 0.3523 0.1662 0.1080  4 O 1.53-1.58
O: 0.0500 0.2794 0.4501  1 P 1.54
O: 0.0759 0.7424 0.1932  1 P 1.51
O: 0.0795 0.6036 0.8120  1 P 1.53
O: 0.1010 0.5224 0.0542  1 P 1.54
O: 0.1083 0.5693 0.4243  1 P 1.58
O: 0.1116 0.8069 0.0012  1 P 1.58
O: 0.1134 0.3875 0.2661  1 P 1.54
O: 0.1511 0.4077 0.6717  1 P 1.55
O: 0.1664 0.8950 0.3967  1 P 1.57
O: 0.1747 0.1875 0.0834  1 P 1.56
O: 0.1803 0.1001 0.6540  1 P 1.56
O: 0.2030 0.9148 0.8154  1 P 1.55
O: 0.3002 0.6450 0.6835  1 P 1.55
O: 0.3210 0.3763 0.4132  1 P 1.55
O: 0.3231 0.4601 0.8443  1 P 1.57
O: 0.3324 0.6764 0.0994  1 P 1.57
O: 0.3565 0.1510 0.8238  1 P 1.53
O: 0.3878 0.7643 0.4943  1 P 1.57
O: 0.3902 0.9964 0.0721  1 P 1.58
O: 0.3905 0.1816 0.2285  1 P 1.53
O: 0.4024 0.0478 0.4399  1 P 1.57
O: 0.4203 0.8264 0.3018  1 P 1.50
O: 0.4217 0.9505 0.6843  1 P 1.55
O: 0.4453 0.2862 0.0452  1 P 1.54

Values from the calculation:
energy above the lowest structure with this stoichiometry: 0 meV per atom
mass density: 3.0 g/cm³
V: 929.8 Å³ per cell
formation energy from the elements: -2.61 eV per atom
magnetic moment: 0.35 μB/atom

----------

[1]
Entry from Materials Project: crystalline MgTi3 at its relaxed geometry (PBE-GGA).

Values from the calculation:
Electronic total energy, eV per atom: -6.18

Cell lengths 5.671, 5.671, 5.671 Å; angles 150.61, 125.34, 63.27 degrees
Atoms (fractional coordinates):
Mg 0.329 0.000 0.329
Ti 0.841 0.500 0.341
Ti 0.247 0.249 0.999
Ti 0.750 0.751 0.999

---

[2]
Entry from Materials Project: crystalline Rb2NbF6 at its relaxed geometry (PBE-GGA).

Values from the calculation:
Electronic total energy, eV per atom: -5.54

Cell lengths 4.766, 6.298, 6.298 Å; angles 60.00, 90.00, 90.00 degrees
Atoms (fractional coordinates):
Nb 0.000 0.000 0.000
F 0.783 0.841 0.841
F 0.217 0.159 0.682
F 0.783 0.841 0.318
F 0.783 0.318 0.841
F 0.217 0.682 0.159
F 0.217 0.159 0.159
Rb 0.301 0.667 0.667
Rb 0.699 0.333 0.333

---

[3]
Entry from Materials Project: crystalline MgV2S5 at its relaxed geometry (PBE-GGA).

Values from the calculation:
Electronic total energy, eV per atom: -5.80

Cell lengths 3.921, 5.982, 14.382 Å; angles 90.00, 90.00, 90.00 degrees
Atoms (fractional coordinates):
S 0.500 0.881 0.820
S 0.000 0.926 0.000
S 0.000 0.423 0.890
S 0.500 0.881 0.180
S 0.000 0.119 0.680
S 0.000 0.423 0.110
S 0.000 0.119 0.320
S 0.500 0.577 0.390
S 0.500 0.577 0.610
S 0.500 0.074 0.500
Mg 0.500 0.634 0.000
Mg 0.000 0.366 0.500
V 0.500 0.917 0.348
V 0.500 0.917 0.652
V 0.000 0.083 0.152
V 0.000 0.083 0.848

---

[4]
Entry from Materials Project: crystalline NaTi2O3 at its relaxed geometry (PBE-GGA).

Values from the calculation:
Electronic total energy, eV per atom: -7.76
Polymorph energy (0 for the lowest one), kJ per mole of atoms: 0.0

Cell lengths 3.058, 3.058, 7.801 Å; angles 90.00, 90.00, 120.00 degrees
Atoms (fractional coordinates):
O 0.000 0.000 0.000
O 0.333 0.667 0.706
O 0.667 0.333 0.294
Ti 0.333 0.667 0.148
Ti 0.667 0.333 0.852
Na 0.000 0.000 0.500

---

[5]
Entry from Materials Project: crystalline EuAl12O19 at its relaxed geometry (PBE-GGA).

Values from the calculation:

6